Assignment >
Your job: retype the whole of the listing underneath with every line break kept.

Listing >
- - -
No. 1
This entry pairs a crystal structure of CeHo4Al with its calculated powder X-ray diffraction pattern. Radiation: Cu Kα (weighted mean of Kα1 and Kα2). Structure: a cell relaxed with PBE.

Atomic structure:
```
12
Lattice="2.6326 -6.0248 0.0000 2.6326 6.0248 0.0000 0.0000 0.0000 10.8198" Properties=species:S:1:pos:R:3 pbc="T T T"
Ce 2.6326 3.8116 5.4099
Ce 2.6326 -3.8116 0.0000
Ho 2.6326 5.7241 8.5089
Ho 2.6326 3.8548 0.7538
Ho 2.6326 2.1820 8.4807
Ho 2.6326 0.0493 5.6942
Ho 2.6326 -0.0493 0.2843
Ho 2.6326 -2.1820 3.0709
Ho 2.6326 -3.8548 6.1636
Ho 2.6326 -5.7241 3.0990
Al 2.6326 1.8076 2.9893
Al 2.6326 -1.8076 8.3992
```

Largest 10 diffraction maxima, sorted by position, 10° ≤ 2θ ≤ 80°:
- d = 2.902 Å, intensity 10
- d = 2.889 Å, intensity 21
- d = 2.750 Å, intensity 100
- d = 2.705 Å, intensity 21
- d = 2.633 Å, intensity 26
- d = 2.008 Å, intensity 9
- d = 1.887 Å, intensity 15
- d = 1.597 Å, intensity 10
- d = 1.570 Å, intensity 10
- d = 1.541 Å, intensity 19


No. 2
This entry pairs a crystal structure of AcPm12Pr7 with its calculated powder X-ray diffraction pattern. Radiation: Cu Kα (weighted mean of Kα1 and Kα2). Structure: a cell relaxed with PBE.

Atomic structure:
```
20
Lattice="-5.8417 5.8417 5.8417 5.8417 -5.8417 5.8417 5.8417 5.8417 -5.8417" Properties=species:S:1:pos:R:3 pbc="T T T"
Ac 0.0000 0.0000 0.0000
Pm 5.8417 2.8758 -2.8758
Pm 5.8417 -2.8758 2.8758
Pm 2.8758 5.8417 -2.8758
Pm 2.9659 2.9659 0.0000
Pm 2.9659 0.0000 2.9659
Pm 2.8758 -2.8758 5.8417
Pm 5.8417 2.8758 2.8758
Pm 0.0000 2.9659 2.9659
Pm -2.8758 5.8417 2.8758
Pm -2.8758 2.8758 5.8417
Pm 2.8758 5.8417 2.8758
Pm 2.8758 2.8758 5.8417
Pr 2.9208 2.9208 -2.9208
Pr 2.9208 -2.9208 2.9208
Pr 5.8417 0.0000 0.0000
Pr -2.9208 2.9208 2.9208
Pr 0.0000 5.8417 0.0000
Pr 0.0000 0.0000 5.8417
Pr 2.9208 2.9208 2.9208
```

Largest 10 diffraction maxima, sorted by position, 10° ≤ 2θ ≤ 80°:
- d = 5.842 Å, intensity 16
- d = 4.131 Å, intensity 21
- d = 3.373 Å, intensity 74
- d = 2.921 Å, intensity 100
- d = 2.065 Å, intensity 75
- d = 1.761 Å, intensity 35
- d = 1.686 Å, intensity 26
- d = 1.460 Å, intensity 12
- d = 1.340 Å, intensity 14
- d = 1.306 Å, intensity 33


No. 3
This entry pairs a crystal structure of Hf2Cr3Si with its calculated powder X-ray diffraction pattern. Radiation: Cu Kα (weighted mean of Kα1 and Kα2). Structure: a cell relaxed with PBE.

Atomic structure:
```
12
Lattice="4.9800 0.0000 0.0000 -2.4900 4.3128 0.0000 0.0000 0.0000 8.2698" Properties=species:S:1:pos:R:3 pbc="T T T"
Hf 0.0000 2.8752 0.5299
Hf 0.0000 2.8752 3.6050
Hf 2.4900 1.4376 4.6648
Hf 2.4900 1.4376 7.7399
Cr 0.0000 1.4867 6.2023
Cr -1.2025 3.5695 6.2023
Cr 1.2875 0.7433 2.0674
Cr 1.2025 3.5695 6.2023
Cr 3.6926 0.7433 2.0674
Cr 2.4900 2.8262 2.0674
Si 0.0000 0.0000 0.0000
Si 0.0000 0.0000 4.1349
```

Largest 10 diffraction maxima, sorted by position, 10° ≤ 2θ ≤ 80°:
- d = 4.313 Å, intensity 34
- d = 2.985 Å, intensity 23
- d = 2.490 Å, intensity 58
- d = 2.323 Å, intensity 100
- d = 2.156 Å, intensity 18
- d = 2.133 Å, intensity 73
- d = 2.087 Å, intensity 42
- d = 1.403 Å, intensity 38
- d = 1.358 Å, intensity 17
- d = 1.312 Å, intensity 26


No. 4
This entry pairs a crystal structure of KNdSn4O12 with its calculated powder X-ray diffraction pattern. Radiation: Cu Kα (weighted mean of Kα1 and Kα2). Structure: a cell relaxed with PBE.

Atomic structure:
```
18
Lattice="8.1514 0.0000 0.0000 0.0000 4.0782 4.0954 0.0000 -4.0782 4.0954" Properties=species:S:1:pos:R:3 pbc="T T T"
K 0.0000 0.0000 0.0000
Nd 4.0757 0.0000 3.8656
Sn 2.0013 -1.9944 6.0393
Sn 2.0013 1.9944 6.0393
Sn 6.1501 -1.9944 6.0393
Sn 6.1501 1.9944 6.0393
O 0.0000 -1.8183 6.0888
O 0.0000 1.8183 6.0888
O 2.0205 0.0000 1.9994
O 2.2875 -1.9085 3.9927
O 2.2875 1.9085 3.9927
O 2.5000 0.0000 5.8786
O 4.0757 -1.7081 2.0847
O 4.0757 1.7081 2.0847
O 5.6514 0.0000 5.8786
O 5.8640 -1.9085 3.9927
O 5.8640 1.9085 3.9927
O 6.1309 0.0000 1.9994
```

Largest 10 diffraction maxima, sorted by position, 10° ≤ 2θ ≤ 80°:
- - -

Written answer >
No. 1
This entry pairs a crystal structure of CeHo4Al with its calculated powder X-ray diffraction pattern. Radiation: Cu Kα (weighted mean of Kα1 and Kα2). Structure: a cell relaxed with PBE.

Atomic structure:
```
12
Lattice="2.6326 -6.0248 0.0000 2.6326 6.0248 0.0000 0.0000 0.0000 10.8198" Properties=species:S:1:pos:R:3 pbc="T T T"
Ce 2.6326 3.8116 5.4099
Ce 2.6326 -3.8116 0.0000
Ho 2.6326 5.7241 8.5089
Ho 2.6326 3.8548 0.7538
Ho 2.6326 2.1820 8.4807
Ho 2.6326 0.0493 5.6942
Ho 2.6326 -0.0493 0.2843
Ho 2.6326 -2.1820 3.0709
Ho 2.6326 -3.8548 6.1636
Ho 2.6326 -5.7241 3.0990
Al 2.6326 1.8076 2.9893
Al 2.6326 -1.8076 8.3992
```

Largest 10 diffraction maxima, sorted by position, 10° ≤ 2θ ≤ 80°:
- d = 2.902 Å, intensity 10
- d = 2.889 Å, intensity 21
- d = 2.750 Å, intensity 100
- d = 2.705 Å, intensity 21
- d = 2.633 Å, intensity 26
- d = 2.008 Å, intensity 9
- d = 1.887 Å, intensity 15
- d = 1.597 Å, intensity 10
- d = 1.570 Å, intensity 10
- d = 1.541 Å, intensity 19


No. 2
This entry pairs a crystal structure of AcPm12Pr7 with its calculated powder X-ray diffraction pattern. Radiation: Cu Kα (weighted mean of Kα1 and Kα2). Structure: a cell relaxed with PBE.

Atomic structure:
```
20
Lattice="-5.8417 5.8417 5.8417 5.8417 -5.8417 5.8417 5.8417 5.8417 -5.8417" Properties=species:S:1:pos:R:3 pbc="T T T"
Ac 0.0000 0.0000 0.0000
Pm 5.8417 2.8758 -2.8758
Pm 5.8417 -2.8758 2.8758
Pm 2.8758 5.8417 -2.8758
Pm 2.9659 2.9659 0.0000
Pm 2.9659 0.0000 2.9659
Pm 2.8758 -2.8758 5.8417
Pm 5.8417 2.8758 2.8758
Pm 0.0000 2.9659 2.9659
Pm -2.8758 5.8417 2.8758
Pm -2.8758 2.8758 5.8417
Pm 2.8758 5.8417 2.8758
Pm 2.8758 2.8758 5.8417
Pr 2.9208 2.9208 -2.9208
Pr 2.9208 -2.9208 2.9208
Pr 5.8417 0.0000 0.0000
Pr -2.9208 2.9208 2.9208
Pr 0.0000 5.8417 0.0000
Pr 0.0000 0.0000 5.8417
Pr 2.9208 2.9208 2.9208
```

Largest 10 diffraction maxima, sorted by position, 10° ≤ 2θ ≤ 80°:
- d = 5.842 Å, intensity 16
- d = 4.131 Å, intensity 21
- d = 3.373 Å, intensity 74
- d = 2.921 Å, intensity 100
- d = 2.065 Å, intensity 75
- d = 1.761 Å, intensity 35
- d = 1.686 Å, intensity 26
- d = 1.460 Å, intensity 12
- d = 1.340 Å, intensity 14
- d = 1.306 Å, intensity 33


No. 3
This entry pairs a crystal structure of Hf2Cr3Si with its calculated powder X-ray diffraction pattern. Radiation: Cu Kα (weighted mean of Kα1 and Kα2). Structure: a cell relaxed with PBE.

Atomic structure:
```
12
Lattice="4.9800 0.0000 0.0000 -2.4900 4.3128 0.0000 0.0000 0.0000 8.2698" Properties=species:S:1:pos:R:3 pbc="T T T"
Hf 0.0000 2.8752 0.5299
Hf 0.0000 2.8752 3.6050
Hf 2.4900 1.4376 4.6648
Hf 2.4900 1.4376 7.7399
Cr 0.0000 1.4867 6.2023
Cr -1.2025 3.5695 6.2023
Cr 1.2875 0.7433 2.0674
Cr 1.2025 3.5695 6.2023
Cr 3.6926 0.7433 2.0674
Cr 2.4900 2.8262 2.0674
Si 0.0000 0.0000 0.0000
Si 0.0000 0.0000 4.1349
```

Largest 10 diffraction maxima, sorted by position, 10° ≤ 2θ ≤ 80°:
- d = 4.313 Å, intensity 34
- d = 2.985 Å, intensity 23
- d = 2.490 Å, intensity 58
- d = 2.323 Å, intensity 100
- d = 2.156 Å, intensity 18
- d = 2.133 Å, intensity 73
- d = 2.087 Å, intensity 42
- d = 1.403 Å, intensity 38
- d = 1.358 Å, intensity 17
- d = 1.312 Å, intensity 26


No. 4
This entry pairs a crystal structure of KNdSn4O12 with its calculated powder X-ray diffraction pattern. Radiation: Cu Kα (weighted mean of Kα1 and Kα2). Structure: a cell relaxed with PBE.

Atomic structure:
```
18
Lattice="8.1514 0.0000 0.0000 0.0000 4.0782 4.0954 0.0000 -4.0782 4.0954" Properties=species:S:1:pos:R:3 pbc="T T T"
K 0.0000 0.0000 0.0000
Nd 4.0757 0.0000 3.8656
Sn 2.0013 -1.9944 6.0393
Sn 2.0013 1.9944 6.0393
Sn 6.1501 -1.9944 6.0393
Sn 6.1501 1.9944 6.0393
O 0.0000 -1.8183 6.0888
O 0.0000 1.8183 6.0888
O 2.0205 0.0000 1.9994
O 2.2875 -1.9085 3.9927
O 2.2875 1.9085 3.9927
O 2.5000 0.0000 5.8786
O 4.0757 -1.7081 2.0847
O 4.0757 1.7081 2.0847
O 5.6514 0.0000 5.8786
O 5.8640 -1.9085 3.9927
O 5.8640 1.9085 3.9927
O 6.1309 0.0000 1.9994
```

Largest 10 diffraction maxima, sorted by position, 10° ≤ 2θ ≤ 80°: